Water Recirculation With Filter Systems
A pond sludge vacuum is a valuable investment for owners of garden ponds. It is an efficient way to remove the sludge that is unavoidable over time. This sludge is formed when organic substances decompose. Pond sludge vacuums are also suitable for removing algae and other debris from the pond. Various filters are ideal for returning the pumped-out water into the pond. The water should not have to be discharged into nature, where it can harm plants and animals. You can combine different types of filters with a pond sludge vacuum cleaner. An essential criterion for buying a filter is the filter sharpness.
What Filter Sharpness is all About?
Quantum chemistry results from another source follow.
/*
*a*
A cluster of 2 separate species, C2H7ClSi in total. Source: OMol25; level of theory: ωB97M-V/def2-TZVPD.

The calculation puts the LUMO energy (alpha / beta) at -0.1 / -0.6 eV. For the frontier orbital gap (alpha / beta), the calculation gives 9.13 / 6.01 eV. As for the highest occupied orbital energy (alpha / beta): -9.25 / -6.65 eV.

ORCA input file:
```
! RIJCOSX wB97M-V def2-TZVPD def2/J DEFGRID3
* xyz 0 1
C -1.44 -0.63 0.53
C 2.03 0.37 0.45
Si -1.28 0.23 -1.05
Cl 3.52 0.13 -0.68
H -1.05 -1.58 0.38
H -0.85 -0.14 1.27
H -2.54 -0.59 0.83
H 2.30 -0.12 1.35
H 1.63 1.37 0.32
H -0.38 -0.52 -1.87
H -1.93 1.47 -1.53
*
```

*b*
A cluster of 2 separate species, C2H7ClSi in total. Source: OMol25; level of theory: ωB97M-V/def2-TZVPD.

The calculation puts the LUMO energy at 0.5 eV. For the frontier orbital gap, the calculation gives 9.39 eV. As for the highest occupied orbital energy: -8.90 eV.

ORCA input file:
```
! RIJCOSX wB97M-V def2-TZVPD def2/J DEFGRID3
* xyz 0 1
C -1.42 -0.28 -0.97
C 0.66 -1.57 1.28
Si -0.33 -0.11 0.69
Cl -1.68 0.58 2.05
H -1.37 -1.32 -1.28
H -2.36 0.07 -0.63
H -1.19 0.30 -1.80
H 0.06 -2.54 1.06
H 1.64 -1.67 0.84
H 0.71 -1.50 2.32
H 1.05 1.75 0.35
*
```

Most stable = *b*

*a*
An isolated molecule of C4H2OS. Source: OMol25; level of theory: ωB97M-V/def2-TZVPD.

The calculation puts the LUMO energy (alpha / beta) at -2.3 / -2.3 eV. For the frontier orbital gap (alpha / beta), the calculation gives 6.55 / 6.76 eV. As for the highest occupied orbital energy (alpha / beta): -8.81 / -9.07 eV.

ORCA input file:
```
! RIJCOSX wB97M-V def2-TZVPD def2/J DEFGRID3
* xyz 0 1
C 1.03 0.69 0.07
C 0.70 -0.66 -0.01
C -0.21 1.41 -0.16
C -1.38 0.18 -0.11
O -0.61 -0.95 -0.09
S -3.02 -0.18 0.01
H 2.11 0.99 0.08
H 1.37 -1.48 0.21
*
```

*b*
An isolated molecule of C4H2OS. Source: OMol25; level of theory: ωB97M-V/def2-TZVPD.

The calculation puts the LUMO energy at -0.6 eV. For the frontier orbital gap, the calculation gives 8.17 eV. As for the highest occupied orbital energy: -8.74 eV.

ORCA input file:
```
! RIJCOSX wB97M-V def2-TZVPD def2/J DEFGRID3
* xyz 0 1
O 2.54 -1.69 -2.63
C 1.77 -1.24 -1.92
C 1.05 -0.51 -1.20
C 0.16 0.07 -0.17
C 0.32 0.63 -1.56
S 0.28 1.90 -2.55
H -0.81 -0.45 0.23
H 0.59 0.46 0.71
*
```

Most stable = *b*

*a*
A structure of composition C26H25IOPS3Sb2Se4W. Source: OMol25; level of theory: ωB97M-V/def2-TZVPD.

The calculation puts the LUMO energy (alpha / beta) at -2.8 / -2.8 eV. For the frontier orbital gap (alpha / beta), the calculation gives 5.09 / 5.09 eV. As for the highest occupied orbital energy (alpha / beta): -7.88 / -7.88 eV.

ORCA input file:
```
! RIJCOSX wB97M-V def2-TZVPD def2/J DEFGRID3
* xyz 0 2
W 0.50 -0.98 0.03
S 4.89 1.21 -1.29
Sb 3.69 -0.62 -0.95
S 2.46 -0.38 1.18
S 1.18 -0.08 -1.88
I 0.72 2.56 0.79
C -0.49 4.29 0.68
C -0.25 5.16 1.71
C -0.86 6.43 1.76
C -1.67 6.81 0.74
C -1.94 5.93 -0.34
C -2.77 6.39 -1.39
C -3.07 5.58 -2.45
C -2.58 4.27 -2.46
C -1.77 3.77 -1.46
P -1.41 1.95 -1.54
C -0.86 1.75 -3.27
*/
Screen bow filters and fine filter bags are available in different variants. Which filter system you choose depends on your pond mud vacuum. The filter must be efficient. A fine filter is essential for a sludge vacuum with a high flow rate generated by the sludge vacuum pump. The term filter sharpness mostly indicates the performance of a filter system. This is the size of the passage openings between the meshes. For excellent filters, the values used to classify cleaning systems are in the micrometer range. If the gaps are smaller than a thousandth of a millimeter, the filter systems can be well combined with pond mud vacuum cleaners. When buying, you should pay attention to an adequate filter. The finer the filter media, the more precise the water filtration will be. However, it would help if you did not consider the value of filter fineness as absolute. For assessing the quality of a water recirculation system, filter sharpness is not considered a final measure.
Other Factors for Determining the Efficiency of Water Filters
Other factors should be considered to more accurately determine the efficiency of water filters. In addition to filter sharpness, the material of the filter is an important selection criterion. The material should be as stable and environmentally friendly as possible because the water that is filtered affects the material. The water and the debris in it can cause the filter material to stretch. This stretching causes the openings to enlarge over time until there is no longer a good quality of the returning water. Various materials such as fleece attract impurities directly. If the contaminants are deposited on the fibers, clogging occurs. The pollutants cannot be entirely removed by rinsing. You should therefore choose a filter made out of resistant material. This way, you can prevent clogging.
Different Options for Filter Technology
Many Manufactures offer Filter systems for pool and pond technology in different designs. Therefore, it is not so easy, especially for pond enthusiasts who have just created a pond, to choose the appropriate filter system. Not all filters are suitable for water recirculation. The filters listed below have different features and are ideal for different needs:
Sponge filters have sponges arranged in rows where the dirty particles collect. Since these sponges have slightly larger pores, not all the dirt particles are collected. After a more extended conveying period, the dirt can overcome the sponges’ barrier and get back into the water. Therefore, these filters are suitable only for shorter operations. After that, thorough and rather costly cleaning of the filter is required. Due to their design, these filters are not always easy to handle.
Sand filters have a higher filter sharpness and are filled with quartz. Even with these filters, not all dirt particles are caught and then get back into the pond water. The organic parts of filamentous algae, which form a layer on the filter’s bed, can become a problem because these organic parts lead to a significant increase in operating pressure. At worst, this can disable the pond vacuum.
Some pond owners use a separate clarification zone as a sludge filter. The suction process can be performed without loss of liquid. Only a small amount of turbidity is visible in the clarification area. However, the problem is that after a few days, the filtering function is lost in the delicate ecosystem of the pond system. This is due to the suffocation of microorganisms in the sludge water let into the clarification zone. It can take weeks or months until the original state is reached again. Experts, therefore, strongly advise against using the clarification zone as a filter.
Curved screen filters pass the dirty water through a curved slotted screen and are an excellent alternative to the previously described filters. In some filters, the liquid passes through a mesh screen. These filters can safely remove filamentous algae. However, since the filtration efficiency is lower with the curved screen filters, these filters are not suitable for tiny particles. If the filtered water gets back into the pond, it shows some turbidity.
Tip: It is best to work with a combination of a curved screen filter and filter stocking or a fine filter bag (as described below). This combination will ensure that not only coarse but also tiny particles are filtered out of your water before it gets back into your pond. We always sell our curved screen water filters as a set combined with a filter stocking as a final filter. Additionally, it would help if you use an adequate filter stocking at the curved screen water filter outlet. This filter stocking allows you to filter even more fine particles out of the water before it runs back into the pond.
Pond Filters for High Demands and Excellent Water Quality.
(What comes next are records of molecules, not part of the entry)
~~~
[1]
Below is a 3-piece molecular cluster, C11H18N3O overall, with properties calculated with ωB97M-V/def2-TZVPD.

Values from the calculation:
* maximum force: 5.42 eV/Å
* Kohn-Sham gap (alpha / beta): 5.998 / 7.377 eV
* energy above the lowest of the compared OMol25 structures with the same formula, charge and spin: 116.2 kcal per mole
* net charge: +1

Positions of all 33 atoms, in Å:
C: -6.869582 0.075232 0.045738
C: -6.120159 -1.116264 -0.048012
C: -6.260972 1.387134 0.001170
C: -4.767918 -1.019469 -0.119885
C: -4.838095 1.383362 -0.122118
C: -4.217968 0.219082 -0.090283
C: 2.894431 1.012699 0.219409
C: 3.213119 -0.881410 -1.117217
C: 4.325137 1.009792 0.737499
C: 4.664911 -1.070873 -0.510003
C: -1.282795 -0.151006 -0.090201
N: -0.291126 0.179234 -0.911182
N: -1.027411 -0.548648 1.103076
N: 2.378896 -0.300900 -0.099956
O: 5.198923 0.116014 -0.055610
H: -7.941859 -0.146958 0.108002
H: -6.639495 -2.076196 -0.192830
H: -6.789860 2.274338 -0.073904
H: -4.262334 -1.946982 -0.331625
H: -4.528720 2.507595 -0.360432
H: 2.207750 1.379663 0.963008
H: 2.846082 1.645048 -0.771304
H: 3.488062 -0.181583 -1.966199
H: 2.863511 -2.004060 -1.460299
H: 4.781943 1.974708 0.581090
H: 4.388966 0.724413 1.818781
H: 4.496187 -1.622447 0.402816
H: 5.397183 -1.523416 -1.294370
H: -0.477264 0.660835 -1.758963
H: 0.710794 0.205272 -0.660006
H: 0.015766 -0.661433 1.346009
H: -1.728934 -1.088545 1.626305
H: 2.407841 -0.959595 0.742362

Forces on atoms 1 to 2 (eV/Å):
C -0.04 0.68 0.08
C -1.87 1.33 -0.09

Mulliken population analysis, charges in e, atoms 1 to 5:
1 C -0.3187
2 C -0.4042
3 C -0.4924
4 C -0.1812
5 C -0.1914

=====

[2]
Below is a 17-piece molecular cluster, H34O17 overall, with properties calculated with ωB97M-V/def2-TZVPD.

Values from the calculation:
* maximum force: 4.08 eV/Å
* Kohn-Sham gap: 9.645 eV
* energy above the lowest of the compared OMol25 structures with the same formula, charge and spin: 85.4 kcal per mole
* net charge: 0

Positions of all 51 atoms, in Å:
O: 3.924127 1.832376 -0.421057
H: 3.338478 2.241594 0.264804
H: 3.764760 2.418396 -1.188114
O: 2.089741 0.131166 -0.794471
H: 2.602331 -0.140370 -1.570959
H: 2.779903 0.661911 -0.289629
O: -1.854325 4.667271 -2.274972
H: -1.232077 3.938959 -2.329297
H: -2.582568 4.430902 -2.861740
O: -2.151867 -0.505420 2.297099
H: -2.901996 -0.668475 1.748952
H: -1.778348 0.241403 1.698247
O: 0.733488 -0.684579 4.610384
H: 0.150608 -0.806983 5.408826
H: 0.147635 -0.906453 3.869489
O: 2.076658 2.345754 -3.562090
H: 2.832120 2.945726 -3.592862
H: 2.317878 1.490706 -3.237309
O: 1.382109 2.250279 2.857982
H: 0.567810 2.664481 3.214786
H: 1.871620 2.002587 3.719986
O: 2.426210 -2.669193 -3.036961
H: 1.825173 -2.979033 -3.720695
H: 1.948967 -3.015410 -2.257035
O: 0.599407 -1.863714 -1.456378
H: 0.704194 -2.302531 -0.554571
H: 1.030119 -0.979041 -1.369424
O: 2.242997 -2.412057 2.606966
H: 1.875345 -1.534223 2.716299
H: 2.886177 -2.468913 3.299197
O: -3.792549 -3.030236 -2.787005
H: -3.076583 -2.474948 -2.398297
~~~
(End of the records of molecules)
Characteristic for cartridge filter systems are an enormous filter size and a high separation efficiency and are perfectly suitable for pond cleaning. However, they require a high level of maintenance. It takes five to ten minutes for the filter to be ready for pond vacuuming again. You cannot work fast with these types of filters.
You can use a cartridge filter together with a pond robot with an appropriate connection. In this case, you could separate the bottom mulch very well. However, if you do not mind a longer cleaning time, you can also use the cartridge filter together with a pond vacuum cleaner.
A drum filter has a unique design and the most elaborate technology currently used for filter systems. The rotating drum of the filter is covered with a fine mesh. Prevent dirt particles from settling down in the drum; the drum is permanently cleaned with a spray can. The principle is similar to that of a washing machine. One disadvantage of drum filters is their high price, but this pays off if you do not compromise water quality.
Fleece systems were the best choice for water recirculation before the introduction of drum filters. This technology is not cheap either. There are significant differences in the fleece filters offered. The flow rate depends on the degree of contamination of the water. If the degree of contamination changes, you must adjust the speed. I recommend a fleece system with electronic or mechanical control since the condition of the sucked pond liquid changes continuously.
Use of a Fine Filter Bag
A fine filter bag offers some useful features for material, filter sharpness, and capacity. It is excellent for recirculating water, as it provides excellent cleaning results. The fine filter bag also scores with moderate purchase costs. It would help if you combined the fine filter bag with a pond vacuum cleaner and place the whole construction in the pond’s sealing surface. Combine the filter bag with a high-pressure pond vacuum cleaner, and the water will quickly enter the pond again. You achieve a consistent better-cleaning result when you combine several filter bags with a control valve.
How to Attach Filters?
In most pond mud vacuums, there is a fine filter, which you should clean regularly. It would be best if you replaced it from time to time. If you attach such a filter, you should remember the significant pressure differences at the inlet and outlet. You should always install the filter at the output of the pump because of these differences. Equipping the pre-filter with an optional fine filter element may seem easier at first. However, it reduces the suction capacity. A two-stage filter unit is better suited. Such a filter unit has a coarse filter on the suction side and a fine filter on the discharge side. In this way, you can separate liquid and dirt particles from each other. As a result, clean water returns to the pond.
Uptake Capacity of a Filter
The intake capacity can help in analyzing the performance of a filter. The water must flow through the filter. If the intake capacity is too low, you will need to clean the filter frequently. If you choose a filter with a high intake capacity, you will need to clean it less often. You can improve the absorption capacity of a filter in several ways. Therefore, you do not have to choose the most expensive filter. Cartridge filters need to be cleaned less often and take up little space, while the filter area is more than 200 square feet.
How to Clean Your Filter Systems?
It is not always the case that a filter’s high absorption capacity is actually beneficial. You could not clean all systems in a meaningful way. You can use a cartridge filter for 10 to 20 minutes before you need to clean it. You will need to disassemble the system and flush the fins to do this. The working time of 5 to 10 minutes required for this is relatively long.
You can be more quickly with cleaning when choosing other filter systems. For example, you can clean filter bags very fast, as they can be emptied in as little as one to two minutes. However, you can not use same the same time as cartridge systems.
If you use a mud vacuum for your garden pond, you can efficiently remove mud from the pond. To return the water into the pond, you should use a filter. It would be best to combine this filter with the pond mud vacuum cleaner. Dirt particles and filamentous algae get stuck in it. Depending on the type of filter, you should perform regular cleaning. When choosing a filter, the material, filter sharpness, and design are crucial. Curved screen filters are perfect for extracting filamentous algae. Fine filter bags ensure excellent cleaning results at moderate purchase costs.